Assignment >
Please write out all of the calculation results underneath character by character.
Source >
<<<
{
  "formula": "Eu2N",
  "functional": "PBE-GGA",
  "state": "optimized geometry",
  "spacegroup": "P4_2/mnm (136)",
  "ef_ev_per_atom": -0.784,
  "lattice_angstrom": [[6.315, 0.000, 0.000], [0.000, 6.315, 0.000], [0.000, 0.000, 3.606]],
  "species": ["Eu", "Eu", "Eu", "Eu", "N", "N"],
  "fractional_positions": [[0.192, 0.192, 0.000], [0.308, 0.692, 0.500], [0.692, 0.308, 0.500], [0.808, 0.808, 0.000], [0.000, 0.000, 0.500], [0.500, 0.500, 0.000]]
}


First-principles (GGA-PBE) data for BaCu2Si2O7 after structural relaxation, as listed in the Materials Project database.

Values from the calculation:
Total energy after the MP2020 corrections = -7.15 eV per atom
Formation enthalpy at 0 K = -2519 meV/atom
Electronic total energy = -81.027 eV/f.u.
Spin magnetization = 0.167 μB per atom

abc: 6.9428 7.0530 13.1909
angles: 90.00 90.00 90.00
Atoms (fractional coordinates):
O 0.6715 0.1364 0.3657
O 0.0702 0.7434 0.3850
O 0.4298 0.2434 0.6150
O 0.4298 0.2434 0.8850
O 0.5702 0.7566 0.1150
O 0.9298 0.2566 0.8850
O 0.9055 0.5148 0.2500
O 0.3285 0.8636 0.6343
O 0.6715 0.1364 0.1343
O 0.3184 0.0311 0.4432
O 0.8184 0.4689 0.0568
O 0.3184 0.0311 0.0568
O 0.6816 0.9689 0.9432
O 0.4055 0.9852 0.2500
O 0.1816 0.5311 0.9432
O 0.1715 0.3636 0.3657
O 0.6816 0.9689 0.5568
O 0.3285 0.8636 0.8657
O 0.5702 0.7566 0.3850
O 0.1816 0.5311 0.5568
O 0.8285 0.6364 0.8657
O 0.8285 0.6364 0.6343
O 0.1715 0.3636 0.1343
O 0.0945 0.4852 0.7500
O 0.5945 0.0148 0.7500
O 0.0702 0.7434 0.1150
O 0.9298 0.2566 0.6150
O 0.8184 0.4689 0.4432
Si 0.4987 0.0249 0.6332
Si 0.5013 0.9751 0.1332
Si 0.4987 0.0249 0.8668
Si 0.9987 0.4751 0.8668
Si 0.9987 0.4751 0.6332
Si 0.0013 0.5249 0.3668
Si 0.5013 0.9751 0.3668
Si 0.0013 0.5249 0.1332
Ba 0.5139 0.4600 0.2500
>>>
Written answer >
{
  "formula": "Eu2N",
  "functional": "PBE-GGA",
  "state": "optimized geometry",
  "spacegroup": "P4_2/mnm (136)",
  "ef_ev_per_atom": -0.784,
  "lattice_angstrom": [[6.315, 0.000, 0.000], [0.000, 6.315, 0.000], [0.000, 0.000, 3.606]],
  "species": ["Eu", "Eu", "Eu", "Eu", "N", "N"],
  "fractional_positions": [[0.192, 0.192, 0.000], [0.308, 0.692, 0.500], [0.692, 0.308, 0.500], [0.808, 0.808, 0.000], [0.000, 0.000, 0.500], [0.500, 0.500, 0.000]]
}


First-principles (GGA-PBE) data for BaCu2Si2O7 after structural relaxation, as listed in the Materials Project database.

Values from the calculation:
Total energy after the MP2020 corrections = -7.15 eV per atom
Formation enthalpy at 0 K = -2519 meV/atom
Electronic total energy = -81.027 eV/f.u.
Spin magnetization = 0.167 μB per atom

abc: 6.9428 7.0530 13.1909
angles: 90.00 90.00 90.00
Atoms (fractional coordinates):
O 0.6715 0.1364 0.3657
O 0.0702 0.7434 0.3850
O 0.4298 0.2434 0.6150
O 0.4298 0.2434 0.8850
O 0.5702 0.7566 0.1150
O 0.9298 0.2566 0.8850
O 0.9055 0.5148 0.2500
O 0.3285 0.8636 0.6343
O 0.6715 0.1364 0.1343
O 0.3184 0.0311 0.4432
O 0.8184 0.4689 0.0568
O 0.3184 0.0311 0.0568
O 0.6816 0.9689 0.9432
O 0.4055 0.9852 0.2500
O 0.1816 0.5311 0.9432
O 0.1715 0.3636 0.3657
O 0.6816 0.9689 0.5568
O 0.3285 0.8636 0.8657
O 0.5702 0.7566 0.3850
O 0.1816 0.5311 0.5568
O 0.8285 0.6364 0.8657
O 0.8285 0.6364 0.6343
O 0.1715 0.3636 0.1343
O 0.0945 0.4852 0.7500
O 0.5945 0.0148 0.7500
O 0.0702 0.7434 0.1150
O 0.9298 0.2566 0.6150
O 0.8184 0.4689 0.4432
Si 0.4987 0.0249 0.6332
Si 0.5013 0.9751 0.1332
Si 0.4987 0.0249 0.8668
Si 0.9987 0.4751 0.8668
Si 0.9987 0.4751 0.6332
Si 0.0013 0.5249 0.3668
Si 0.5013 0.9751 0.3668
Si 0.0013 0.5249 0.1332
Ba 0.5139 0.4600 0.2500